A system that has been working out brilliantly ever since it was born almost 12 years ago, and that defines one of the go-to marketing strategies for retailers, are pop-up stores…

The hype got started by Comme Des Garçons, when the Japanese fashion brand, founded by Rei Kawakubo, opened its first Guerrilla store in Berlin. With minimal costs, and the advantage of being physically present in a yet-to-be-gentrified area, the brand created a massive hype, while solving storage problems by selling older stockings – a strategy that seems to be a no-brainer!
However, the rent for a physical store still implies a huge cost factor, as prime real estate is almost unaffordable. But fortunately, the fast-paced lifecycle of pop-up stores secures and easier management, as the labels are only in need for short-term-rents. Tech brands such as Appear Here or Storefront are companies that connect such retailers with landlords, making it possible for them to rent out space for even only a couple of days.
The problem with these companies is, however, that the prices are getting less transparent. We would think that prices should be lower and more transparent caused by all the information given by the internet, but in reality, prices are going up non-stop, which makes it almost unbearable for smaller labels to open pop-ups in the big cities.

Besides a variety of smaller independent brands, big luxury retailers, such as Burberry, have also discovered the huge benefits of pop-up stores. Although we would think that such brands don’t have any problems with getting rid of old stock, they are primarily interested in the strategy for communication reasons.
As pop-up stores are only available for a short term, customers are even more attracted and get encouraged to share the brand’s and the pop-up store’s exclusivity on their social media, giving value through likes, tags and shares! This communication benefit is often a big factor when it comes to the queue-effect. Pop-up stores and their hype engage consumers to line up in front of the stores, often at 5 am in the morning, to be the first ones grabbing the best sales items. And as queues are always generating even more attraction, and often grab the attention of the media as well, the communication value is meant to be the booming factor.
And there is another factor that makes pop-up stores so interesting when it comes to creativity. The stores are often used by brands to test new merchandising, visuals and innovations, because of lower restrictions. Art directors are able to work more creatively and freely, turning the store itself into and individual artwork.

## Someone pasted data records at this point
<<<
# ScSn2 (GGA-PBEsol, optimized geometry)
# DFT total energy (eV/atom): -5.59
# Total magnetic moment (μB per cell): 0.001
data_ScSn2
_chemical_formula_sum 'Sc8 Sn16'
_symmetry_space_group_name_H-M 'I 41/a m d'
_symmetry_Int_Tables_number 141
_cell_length_a 4.212
_cell_length_b 4.212
_cell_length_c 30.599
_cell_angle_alpha 90.00
_cell_angle_beta 90.00
_cell_angle_gamma 90.00
loop_
_symmetry_equiv_pos_as_xyz
'x,y,z'
'-x,-y,-z'
'-y+1/4,x+3/4,z+1/4'
'y+1/4,-x+3/4,-z+1/4'
'-x+1/2,-y,z+1/2'
'x+1/2,y,-z+1/2'
'y+1/4,-x+1/4,z+3/4'
'-y+1/4,x+1/4,-z+3/4'
'x,-y,-z'
'-x,y,z'
'-y+1/4,-x+1/4,-z+3/4'
'y+1/4,x+1/4,z+3/4'
'-x+1/2,y,-z+1/2'
'x+1/2,-y,z+1/2'
'y+1/4,x+3/4,-z+1/4'
'-y+1/4,-x+3/4,z+1/4'
'x+1/2,y+1/2,z+1/2'
'-x+1/2,-y+1/2,-z+1/2'
'-y+3/4,x+1/4,z+3/4'
'y+3/4,-x+1/4,-z+3/4'
'-x,-y+1/2,z'
'x,y+1/2,-z'
'y+3/4,-x+3/4,z+1/4'
'-y+3/4,x+3/4,-z+1/4'
'x+1/2,-y+1/2,-z+1/2'
'-x+1/2,y+1/2,z+1/2'
'-y+3/4,-x+3/4,-z+1/4'
'y+3/4,x+3/4,z+1/4'
'-x,y+1/2,-z'
'x,-y+1/2,z'
'y+3/4,x+1/4,-z+3/4'
'-y+3/4,-x+1/4,z+3/4'
loop_
_atom_site_label
_atom_site_fract_x
_atom_site_fract_y
_atom_site_fract_z
Sc1 0.000 0.250 0.048
Sn1 0.000 0.250 0.216
Sn2 0.000 0.250 0.375
Sn3 0.000 0.250 0.875

* * * * *

No. 1
A plane-wave DFT calculation with PBE was carried out for an optimized crystal structure of RbInSiF6.

The structure belongs to space group P3m1 (No. 156); the cell edges are 5.8432, 5.8432 and 5.0659 Å and the angles 90.00°, 90.00° and 120.00°. The inequivalent atoms are Rb at (0.0000, 0.0000, 0.0000), In at (0.6667, 0.3333, 0.5584), Si at (0.3333, 0.6667, 0.3517), F at (0.0530, 0.5265, 0.1588) and F at (0.1932, 0.3865, 0.5457).

As for the size of the total moment: 0.00 Bohr magnetons per cell.

No. 2
A plane-wave DFT calculation with PBE was carried out for an optimized crystal structure of Rb2In2SnF6.

The structure belongs to space group C2/m (No. 12); the cell edges are 10.5970, 6.6486 and 7.7909 Å and the angles 90.00°, 115.33° and 90.00°. The inequivalent atoms are Rb at (0.2063, 0.0000, 0.1045), In at (0.1042, 0.5000, 0.2446), Sn at (0.0000, 0.0000, 0.5000), F at (0.0533, 0.2540, 0.7502) and F at (0.2185, 0.0000, 0.4572).

As for the size of the total moment: 0.00 Bohr magnetons per cell.

No. 3
A plane-wave DFT calculation with PBE was carried out for an optimized crystal structure of RbSrInF6.

The structure belongs to space group Imma (No. 74); the cell edges are 7.9289, 7.9880 and 10.8621 Å and the angles 90.00°, 90.00° and 90.00°. The inequivalent atoms are Rb at (0.0000, 0.2500, 0.1027), Sr at (0.0000, 0.0000, 0.5000), In at (0.2500, 0.2500, 0.7500), F at (0.0000, 0.2500, 0.3807), F at (0.0000, 0.2500, 0.6710) and F at (0.2185, 0.0663, 0.8834).

As for the size of the total moment: 0.49 Bohr magnetons per cell.

No. 4
A plane-wave DFT calculation with PBE was carried out for an optimized crystal structure of RbSr2InF8.
>>>
An artwork that enables the brand to approach to local markets. With the easiness of setting up pop-up stores, Comme Des Garçons opened a huge number of them to reach out to various new locations, such as Singapore, Reykjavik or Beirut or Athens, which are surely not the epicenters of fashion, but enable the brand to reach out to new groups of consumers. Consumers, which build new communities around the brand and give it more cultural and international value.
These records of crystals were left in the piece by mistake:
- - -
! PaMnBi2O8 PBE+U relaxed; values from VASP
! Total moment (μB/cell): 4.58
! Fermi-level density of states (states/eV per cell): 5.9
! Final energy (Ry per atom): -0.5102
&SYSTEM
  ibrav = 0, nat = 12, ntyp = 4
/
ATOMIC_SPECIES
Pa 231.04 Pa.upf
Mn 54.94 Mn.upf
Bi 208.98 Bi.upf
O 16.00 O.upf
ATOMIC_POSITIONS crystal
Pa 0.000 0.000 0.000
Mn 0.250 0.750 0.500
Bi 0.500 0.500 0.000
Bi 0.750 0.250 0.500
O 0.287 0.091 0.804
O 0.287 0.484 0.196
O 0.337 0.038 0.299
O 0.516 0.713 0.804
O 0.739 0.038 0.701
O 0.909 0.713 0.196
O 0.962 0.261 0.299
O 0.962 0.663 0.701
CELL_PARAMETERS angstrom
-3.564 3.564 3.678
3.564 -3.564 3.678
3.564 3.564 -3.678

~~~~~

First-principles (PBE) data for K2LaCr after structural relaxation, as listed in the Alexandria database.

The calculation puts the magnetization at 4.3 μB per formula unit. The formation energy is 3.48 eV/f.u. The value obtained for the density is 2817 kg/m3. The calculation puts the electronic total energy at -3.32 eV/atom. The offset from the most stable computed form is 328 meV/atom.

It has space group Pmmm (No. 47), with a = 3.444 Å, b = 6.569 Å, c = 7.012 Å, α = 90.00°, β = 90.00° and γ = 90.00°. Symmetry generates all atoms from K at (0.000, 0.000, 0.235), La at (0.500, 0.500, 0.500) and Cr at (0.500, 0.500, 0.000).

First-principles (PBE) data for NbTlSbRu2 after structural relaxation, as listed in the Alexandria database.

The calculation puts the magnetization at 1.8 μB per formula unit. The value obtained for the density is 8632 kg/m3. The calculation puts the electronic total energy at -5.66 eV/atom.

It has space group P4/mmm (No. 123), with a = 4.830 Å, b = 4.830 Å, c = 5.123 Å, α = 90.00°, β = 90.00° and γ = 90.00°. Symmetry generates all atoms from Nb at (0.000, 0.000, 0.000), Tl at (0.500, 0.500, 0.000), Sb at (0.000, 0.000, 0.500) and Ru at (0.000, 0.500, 0.500).

First-principles (PBE) data for CaSiTe4 after structural relaxation, as listed in the Alexandria database.

The calculation puts the magnetization at 0.0 μB per formula unit. The value obtained for the density is 5311 kg/m3. The calculation puts the electronic total energy at -3.05 eV/atom.

It has space group F-43m (No. 216), with a = 8.978 Å, b = 8.978 Å, c = 8.978 Å, α = 90.00°, β = 90.00° and γ = 90.00°. Symmetry generates all atoms from Ca at (0.000, 0.000, 0.000), Si at (0.250, 0.250, 0.750) and Te at (0.125, 0.125, 0.375).

First-principles (PBE) data for Na2NbAu after structural relaxation, as listed in the Alexandria database.

The calculation puts the magnetization at 3.2 μB per formula unit. The formation energy is 3.14 eV/f.u. The value obtained for the density is 5551 kg/m3. The calculation puts the electronic total energy at -3.21 eV/atom. The offset from the most stable computed form is 0 meV/atom.
- - -
These consumers are getting encouraged through the story-telling that brand’s use for their pop-up stores. Living in a world that is highly dominated by commercial brands, globalisation and mass production, customers are more likely to connect with a brand that tells them a story through individuality, quality and through interesting projects, such as the pop-up stores. They create the feel of exclusivity and interaction, giving the brand and its fashion a new, valuable meaning and recognition.
## Next to the text, the page also holds crystal structures
[1]
This record from the Alexandria database describes a geometry-optimized CeZr2O6 structure. The functional is PBEsol.

Cell: 3.6802 3.6802 8.8879 Å, 90.00 90.00 120.00°
Sites, in units of the cell vectors:
Ce  0.0000  0.0000  0.0000
Zr  0.6667  0.3333  0.3417
Zr  0.3333  0.6667  0.6583
O  0.0000  0.0000  0.7338
O  0.6667  0.3333  0.0947
O  0.3333  0.6667  0.4186
O  0.3333  0.6667  0.9053
O  0.0000  0.0000  0.2662
O  0.6667  0.3333  0.5814

Computed properties:
V: 104.2 Å³ per cell
Symmetry: P-3m1
Spin magnetization: 0.00 Bohr magnetons per cell
Raw total energy: -87.15 eV/f.u.
N(E_F): 0.00 states/eV per cell
Formation energy without anion corrections: -3.430 eV/atom



[2]
This record from the Alexandria database describes a geometry-optimized CeZrO4 structure. The functional is PBEsol.

Cell: 5.2333 5.2965 5.2965 Å, 90.00 90.00 90.00°
Sites, in units of the cell vectors:
O  0.2425  0.7826  0.2826
O  0.7575  0.7826  0.7174
O  0.2425  0.7174  0.7826
O  0.7575  0.2826  0.7826
O  0.2425  0.2174  0.7174
O  0.7575  0.7174  0.2174
O  0.7575  0.2174  0.2826
O  0.2425  0.2826  0.2174
Zr  0.0000  0.0000  0.5000
Zr  0.0000  0.5000  0.0000
Ce  0.5000  0.0000  0.0000
Ce  0.5000  0.5000  0.5000

Computed properties:
V: 146.8 Å³ per cell
Symmetry: P4/nbm
Spin magnetization: 0.00 Bohr magnetons per cell
Raw total energy: -57.33 eV/f.u.
N(E_F): 0.00 states/eV per cell
Formation energy without anion corrections: -3.441 eV/atom



[3]
This record from the Alexandria database describes a geometry-optimized CeZr7O16 structure. The functional is PBEsol.

Cell: 6.3408 7.2341 7.2920 Å, 119.74 107.57 90.00°
Sites, in units of the cell vectors:
Ce  0.0012  0.0002  0.0004
Zr  0.5019  0.7493  0.0019
Zr  0.5028  0.2528  0.5056
Zr  0.0029  0.4984  0.9968
Zr  0.5019  0.2526  0.0019
Zr  0.9975  0.9952  0.4972
Zr  0.4951  0.7491  0.4983
Zr  0.9975  0.5020  0.4972
O  0.3677  0.0760  0.1521
O  0.1015  0.2017  0.4034
O  0.6481  0.9279  0.3519
O  0.1496  0.6696  0.8503
O  0.8910  0.7903  0.1094
O  0.4002  0.5502  0.6001
O  0.1144  0.7045  0.4090
O  0.3517  0.5744  0.1488
O  0.5898  0.4453  0.8905
O  0.8500  0.3256  0.6512
O  0.6481  0.4240  0.3519
O  0.4002  0.0499  0.6001
O  0.1496  0.1806  0.8503
O  0.8910  0.3192  0.1094
O  0.5976  0.9466  0.8933
O  0.8488  0.8146  0.6291

Computed properties:
V: 272.3 Å³ per cell
Symmetry: Cm
Spin magnetization: 0.00 Bohr magnetons per cell
Raw total energy: -237.01 eV/f.u.
N(E_F): 0.00 states/eV per cell
Formation energy without anion corrections: -3.450 eV/atom
Distance to the lowest polymorph of the same formula: 11 meV/atom



[4]
This record from the Alexandria database describes a geometry-optimized CeZr7O16 structure. The functional is PBEsol.

Cell: 5.1904 7.2405 7.2405 Å, 90.00 90.00 90.00°
Sites, in units of the cell vectors:
Ce  0.0000  0.0000  0.0000
Zr  0.5000  0.7473  0.2527
Zr  0.9977  0.5000  0.0000
Zr  0.5000  0.2527  0.2527
Zr  0.0023  0.0000  0.5000
Zr  0.5000  0.7473  0.7473
Zr  0.0000  0.5000  0.5000
Discover the entire story of Rei Kawakubo in Fashion Industry Broadcast’s Masters of Fashion Vol. 39 “Renegades”. Available via Amazon worldwide!
…and watch our 5-minute web-doco about the work of Rei Kawakubo below!